The only exceptions are those who refuse to correct their mistakes after repeated warnings and continue to engage in sabotage in violation of the criminal law; these will have to be punished. 只在一种情况下除外,就是累戒不戒,继续进行破坏活动,触犯刑律,那就要办罪。
Anyone who, in violation of these Regulations, intentionally spreads AIDS, shall be investigated for criminal liability according to law if a crime is committed; 违反本条例规定,故意传播艾滋病,构成犯罪的,依法追究刑事责任;
We must deal severely with actions of financial institutions in violation of regulations or codes of conduct and relentlessly punish financial criminal activities in accordance with the law. to report criminal offenses; 严肃查处金融机构各种违规违纪行为,依法严惩金融犯罪活动。检举违法犯罪活动;
Any state functionary who clearly knows that an enterprise, institution or individual has committed criminal actions in violation of this law, and takes advantage of his position to protect the offenders intentionally from prosecution, shall be investigated for criminal responsibility according to law. 国家工作人员利用职务,对明知有违反本法规定构成犯罪的行为的企业事业单位或者个人故意包庇使其不受追诉的,依法追究刑事责任。
The social harmfulness in the concept of crime in China refers to the social harmfulness in the significance of criminal law, and has no conflict with the violation of criminal law. 我国犯罪概念中的社会危害性是指刑法意义上的社会危害性,不会与刑事违法性发生冲突。
However, the punishment appears to be far-fetched, though not in violation of the principle specified in law, therefore, it is necessary to set up a separate criminal name in criminal law for the act of the out-of-held object embezzlement. 但是依据该条款治罪虽不违背罪刑法定原则却尚显牵强,因而在刑法中应将侵吞脱离持有物的行为独设一个罪名。
Holding crime is an act in violation of criminal law, in which the perpetrator intentionally possesses, control or dominate the behavior of the statutory prohibited items. Such behavior constitutes a serious danger to society. Holding behavior itself is the objective basis for criminal responsibility. 持有型犯罪是指行为人违反刑法规定,故意占有、控制或支配法定违禁物品的行为,该行为严重危害社会,是以持有行为的本身作为追究刑事责任客观基础的一类犯罪。
In China, imbalance of crime is widespread violation of balance between crime and punishment of crime, criminal law and order problems as the criminal law by the imbalance of important research topic. 在我国,罪刑失衡现象的普遍存在严重破坏了罪刑均衡的刑法秩序,罪刑失衡问题成为刑法学界的重要研究课题。
**Someone pasted records of crystals at this point**
____________
This entry pairs a crystal structure of Er12TmTh3 with its simulated powder X-ray diffraction pattern. Radiation: CuKα. Structure: a DFT-relaxed cell (GGA-PBE, Alexandria).
Kinematic intensities with the Lorentz-polarization factor, no thermal factor.

Largest 12 diffraction maxima, low angle first, 15° ≤ 2θ ≤ 90°:
index	2θ/deg	intensity
1 1 4	31.11	100
2 0 0	36.01	34
0 0 8	36.23	17
2 2 0	51.84	12
2 0 8	52.01	24
3 1 4	61.70	29
1 1 12	62.01	14
2 2 8	64.88	12
3 3 4	84.72	6
3 1 12	84.99	12
4 2 0	87.43	6
4 0 8	87.57	6

Structure:
Lattice parameters (Å, degrees): 4.989 4.989 19.834 90.00 90.00 90.00
Space group P4/mmm (No. 123)
Unique sites:
Er 0.000 0.000 0.000 [1 per cell]
Er 0.000 0.000 0.249 [2 per cell]
Er 0.000 0.000 0.500 [1 per cell]
Er 0.000 0.500 0.125 [4 per cell]
Er 0.000 0.500 0.375 [4 per cell]
Tm 0.500 0.500 0.000 [1 per cell]
Th 0.500 0.500 0.251 [2 per cell]
Th 0.500 0.500 0.500 [1 per cell]



This entry pairs a crystal structure of InNi7P2 with its simulated powder X-ray diffraction pattern. Radiation: CuKα. Structure: a DFT-relaxed cell (GGA-PBE, Alexandria).
Kinematic intensities with the Lorentz-polarization factor, no thermal factor.

Largest 12 diffraction maxima, low angle first, 15° ≤ 2θ ≤ 90°:
index	2θ/deg	intensity
1 0 3	28.27	18
1 1 0	34.22	9
1 1 2	35.67	36
1 1 4	39.76	39
0 0 8	39.89	25
1 1 6	45.89	100
2 0 0	49.17	57
2 0 8	65.10	21
2 2 0	72.08	17
1 1 14	83.45	15
2 2 8	85.67	17
3 1 6	89.79	27

Structure:
Lattice parameters (Å, degrees): 3.706 3.706 18.079 90.00 90.00 90.00
Space group I4/mmm (No. 139)
Unique sites:
In 0.000 0.000 0.000 [2 per cell]
Ni 0.000 0.000 0.500 [2 per cell]
Ni 0.000 0.500 0.107 [8 per cell]
Ni 0.000 0.500 0.250 [4 per cell]
P 0.000 0.000 0.325 [4 per cell]



This entry pairs a crystal structure of Pm4AlPb3 with its simulated powder X-ray diffraction pattern. Radiation: CuKα. Structure: a DFT-relaxed cell (GGA-PBE, Alexandria).
Kinematic intensities with the Lorentz-polarization factor, no thermal factor.

Largest 12 diffraction maxima, low angle first, 15° ≤ 2θ ≤ 90°:
index	2θ/deg	intensity
1 1 1	28.88	100
0 1 3	29.75	14
0 0 4	30.38	33
1 1 3	36.20	78
1 0 4	36.73	17
0 2 0	38.59	27
2 0 0	40.97	23
0 2 4	49.89	18
2 0 4	51.84	15
2 2 0	57.54	17
2 2 4	66.46	14
1 3 3	68.27	13

Structure:
Lattice parameters (Å, degrees): 4.406 4.666 11.769 90.00 90.00 90.00
Space group Pmm2 (No. 25)
Unique sites:
Pm 0.000 0.000 0.000 [1 per cell]
Pm 0.000 0.500 0.486 [1 per cell]
Pm 0.500 0.000 0.721 [1 per cell]
Pm 0.500 0.500 0.222 [1 per cell]
Al 0.000 0.000 0.273 [1 per cell]
Pb 0.000 0.500 0.759 [1 per cell]
Pb 0.500 0.000 0.438 [1 per cell]
Pb 0.500 0.500 0.951 [1 per cell]
____________
Here, we draw lessons from Professor Douglas "deviant funnel" to determine what we need a conceptual level, put forward in the criminology research deviance is a violation of orthodox ethics, security law, economic law and criminal law in some behavior. 在这里,我们借鉴了道格拉斯教授的越轨漏斗来确定我们需要的概念层次,提出了犯罪学中研究的越轨行为是违反正统道德、治安法律、部分经济法律和刑事法律的行为。
In other words, these phenomena perplexing us are contrary to or in violation of the rationality of criminal law. 换言之,困扰着我们的这些现象,是与刑法理性相违背、相对立的。
Secondly, the analysis of the negative value, which may result in violations of civil rights; violation of criminal law the principle of guilt own; a breach of faith values. 其次,分析其消极价值,即可能对公民权利造成侵犯;违反了刑法的罪责自负原则;破坏社会诚信价值观念等。